Contents.
/*
Simulated XRD peak list
Compound: K4SnPb4
Radiation: Cu Ka
Structure: a crystal structure in Alexandria, relaxed with GGA-PBE
Intensities are scaled so that the largest is 1000.

Main lines, in order of rising 2θ (2θ = 10–80°):
Position (°2θ), d (Å), I/Imax
11.8, 7.477, 546
13.6, 6.498, 540
14.5, 6.129, 331
21.6, 4.108, 561
28.7, 3.109, 463
30.0, 2.979, 1000
32.8, 2.732, 240
33.4, 2.680, 233
34.5, 2.598, 770
44.1, 2.055, 235

Cell and atoms:
a = 8.956 Å, b = 8.956 Å, c = 8.956 Å
α = 135.94°, β = 132.49°, γ = 66.79°
Fractional coordinates of all 9 atoms:
K: 0.028 0.660 0.013
K: 0.353 0.340 0.368
K: 0.647 0.015 0.987
K: 0.972 0.985 0.632
Sn: 0.500 0.000 0.500
Pb: 0.221 0.274 0.669
Pb: 0.396 0.726 0.948
Pb: 0.604 0.552 0.331
Pb: 0.779 0.448 0.052

* * * * *

Computed X-ray powder pattern
Compound: VH12SO11
Radiation: λ = 1.5418 Å (Cu Kα)
Structure: a PBE+U-relaxed structure
No peak broadening, texture or thermal motion is included.

Largest 12 diffraction maxima, by angle, 2θ from 15° to 90°:
2θ (°)	d_spacing	I/Imax
17.34	5.115	100
18.51	4.794	71
20.61	4.310	96
20.76	4.279	58
22.89	3.885	70
23.24	3.828	73
28.51	3.130	29
30.04	2.975	38
32.57	2.750	32
36.94	2.433	23
37.27	2.412	25
44.02	2.057	23

Atomic structure:
Unit cell a=6.125 b=7.727 c=10.377 alpha=89.45 beta=80.33 gamma=82.27
Fractional positions:
V 0.063 0.238 0.220
V 0.937 0.762 0.780
H 0.018 0.451 0.658
H 0.123 0.061 0.790
H 0.137 0.899 0.134
H 0.186 0.203 0.470
H 0.209 0.008 0.413
H 0.210 0.685 0.007
H 0.256 0.513 0.297
H 0.294 0.746 0.583
H 0.351 0.612 0.699
H 0.386 0.667 0.111
H 0.477 0.062 0.192
H 0.492 0.204 0.074
H 0.508 0.796 0.926
H 0.523 0.938 0.808
H 0.614 0.333 0.889
H 0.649 0.388 0.301
H 0.706 0.254 0.417
H 0.744 0.487 0.703
H 0.790 0.315 0.993
H 0.791 0.992 0.587
H 0.814 0.797 0.530
H 0.863 0.101 0.866
H 0.877 0.939 0.210
H 0.982 0.549 0.342
S 0.441 0.262 0.667
S 0.559 0.738 0.333
O 0.004 0.677 0.916
O 0.025 0.983 0.192
O 0.114 0.460 0.310
O 0.140 0.131 0.403
O 0.252 0.325 0.597
O 0.260 0.722 0.679
O 0.319 0.744 0.047
O 0.358 0.807 0.428
O 0.377 0.124 0.762
O 0.398 0.169 0.156
O 0.493 0.414 0.742
O 0.507 0.586 0.258
O 0.602 0.831 0.844
O 0.623 0.876 0.238
O 0.642 0.193 0.572
O 0.681 0.256 0.953
O 0.740 0.278 0.321
O 0.748 0.675 0.403
O 0.860 0.869 0.597
O 0.886 0.540 0.690
O 0.975 0.017 0.808
O 0.996 0.323 0.084

* * * * *

Starting from the GGA-PBE geometry in Alexandria, the powder X-ray diffraction pattern of Sm2Zn3CuPt4 was simulated for Cu Kα (λ = 1.5418 Å).
Neutral-atom scattering factors, no anomalous dispersion.

Cell and atoms:
```
data_Sm2Zn3CuPt4
_cell_length_a 4.0874
_cell_length_b 4.0874
*/

To do.
Now duplicate every line earlier on that contains the word "angle".

Here it is.
Largest 12 diffraction maxima, by angle, 2θ from 15° to 90°: